Many in the American Jewish community received in the last few days a book called Standing With Israel, by a Jewish author, David Brog, mailed out by Christians United for Israel. Some of my best friends, both Jewish and liberal Protestant, get the heebie-jeebies when they see this stuff. I used to, but here’s why I don’t any more.
Last spring the Jewish community of Atlanta was invited to join the congregation of Trinity Chapel, a suburban “mega-church” in Powder Springs, Georgia. In a more-than-two hour program in a vast modern chapel seating 4,000 people, I saw and heard the things that changed my mind.
First, in this long program with many speakers, there was not one mention of Jesus, and there was not a single cross displayed anywhere; they had all been taken down. But there were plenty of blue-and-white flags with Stars of David.
Second, speaker after speaker apologized in one way or another for centuries of oppression of Jews by Christians. One said, “Countless times the Jewish people have had to stand alone against this oppression. We are here to tell you that you will never again stand alone.” Huge applause.
Third, there were four Jewish Holocaust survivors present. They were introduced by name in a solemn ceremony, and one of them came up onto the stage to light a large memorial candle. Standing ovation.
Fourth, several speakers, pastors of the church, turned centuries of Christian theology upside down. Instead of the classical secessionist or replacement theology, according to which Jews must convert or be damned, they expressed their strong belief that the Jewish people are their elder siblings and represent their roots, that Jews are God’s chosen people and must be protected by every God-fearing Christian. Loud applause again and again.
Fifth, there was no talk of end-times and no hint of an idea that Jews must be gathered to Israel in order for Jesus to return. I am not saying that no one in the Trinity Chapel believes that, but if they do it was certainly far in the background, as was any idea that the Jews will convert in the “last days.” Since I don’t believe in the second coming of Jesus, I am not worried.
........
A relaxed structure of Ca5Mg4In4. Source: Alexandria via LeMat-Bulk, functional PBE.

The formation energy is -3.85 eV per formula unit. Its space group is I4/m, No. 87. As for the energy: -2.400 eV per atom. The calculation puts the mass density at 3.34 g cm⁻³. The crystal system is tetragonal.

Unit cell a=4.701 b=9.256 c=9.256 alpha=86.30 beta=75.29 gamma=75.29
Element x y z (fractional)
In1 0.252 0.692 0.804
Ca1 0.633 0.663 0.071
Mg1 0.105 0.469 0.321
Ca2 0.704 0.929 0.663
Ca3 0.367 0.337 0.929
Ca4 0.000 0.000 0.000
Ca5 0.296 0.071 0.337
In2 0.944 0.804 0.308
Mg2 0.574 0.321 0.531
In3 0.748 0.308 0.196
In4 0.056 0.196 0.692
Mg3 0.895 0.531 0.679
Mg4 0.426 0.679 0.469
........
[Back to the page]
What I did hear was an intense belief in the Bible—including the Jewish Bible–and an acceptance of it as theological proof that Jews have a right to the Land of Israel. No-one, the preachers said, can claim to believe in the Bible without supporting the right of Jews to have a Jewish state in the Holy Land. This too came up again and again to thunderous applause.
As Standing With Israel shows, Christian Zionism has deep roots going back at least to the mid-1800s. Lord Balfour was one, as was Orde Wingate, who helped create the Israeli army; so, to a lesser extent perhaps, were Winston Churchill and Harry Truman. They were not evangelicals, but their Christian beliefs strengthened their Zionism, and it is doubtful whether Israel would have come into being without them.
By the way, the Christians of Trinity Chapel put their money where their mouth is. Trinity alone had already raised $90,000 and rebuilt a Jewish community center in the north of Israel near the Lebanon border—a center destroyed by Hezbollah rockets in the summer of 2006. They raised a lot more that evening and still much more since.
One speaker, a lay leader of the church, pointed out that “our Jewish friends” had recently celebrated the holiday of Purim. She began to give an eloquent précis of the Book of Esther, clearly leading up to an object lesson about the evils of anti-Semitism. When she mentioned Haman’s name, thousands of Christians stamped their feet and booed.
How did they know to do this? Obviously, from a lot of experiences they had in that church when Jews were not present. It is inconceivable that the spirit of this evening, including the deep respect for Jews as Jews, was anything other than an authentic outpouring of affection and admiration for both Israel and the Jewish people.
“What is it you like about them?” an ultra-liberal Jewish friend asked me the other day. “Is it their stand on abortion or on gays? Or is it their belief that Israel should never give up any land for peace?”
In fact I don’t like any of those things about them; I like them, not their views on every subject. I also love my wife, my kids, my brother, and my friends, every one of whom has opinions on important issues that I don’t always share. I like the evangelical Zionists because they like and respect me for what I am, and because they fiercely defend Israel and the Jewish people. Given the opportunity, I will tell them what I think about other issues and try to persuade them, but if I don’t succeed there will still be a bond.
Not just Brog in Standing With Israel, but journalist Zev Chafetz in A Match Made in Heaven, about “the weird and wonderful Judeo-Evangelical Alliance,” and other Jews of all denominations have concluded as I have: With friends like these…Jews can breathe a little easier, and so can the Jewish state.
## Calculated crystals from another source follow
____________
Record 1
# Cd2SeBr | Alexandria via LeMat-Bulk | PBE | optimized geometry
data_Cd2SeBr
_chemical_formula_sum 'Cd4 Se2 Br2'
_symmetry_space_group_name_H-M 'A m m 2'
_symmetry_Int_Tables_number 38
_symmetry_space_group_name_Hall 'A 2 -2'
_cell_length_a 5.7566
_cell_length_b 5.7427
_cell_length_c 6.6211
_cell_angle_alpha 90.00
_cell_angle_beta 90.00
_cell_angle_gamma 90.00
loop_
_atom_site_label
_atom_site_type_symbol
_atom_site_fract_x
_atom_site_fract_y
_atom_site_fract_z
Cd1 Cd 0.0000 0.0000 0.0000
Cd2 Cd 0.5000 0.0000 0.4217
Se1 Se 0.0000 0.0000 0.4137
Br1 Br 0.5000 0.0000 0.8967
# E in eV per atom: -2.16
# Relative energy among the computed polymorphs in meV/atom: 26

Record 2
# CdSeBr2 | Alexandria via LeMat-Bulk | PBE | optimized geometry
data_CdSeBr2
_chemical_formula_sum 'Cd2 Se2 Br4'
_symmetry_space_group_name_H-M 'C m m m'
_symmetry_Int_Tables_number 65
_symmetry_space_group_name_Hall '-C 2 2'
_cell_length_a 7.1392
_cell_length_b 7.1503
_cell_length_c 3.8725
_cell_angle_alpha 90.00
_cell_angle_beta 90.00
_cell_angle_gamma 90.00
loop_
_atom_site_label
_atom_site_type_symbol
_atom_site_fract_x
_atom_site_fract_y
_atom_site_fract_z
Cd1 Cd 0.0000 0.0000 0.0000
Se1 Se 0.0000 0.5000 0.0000
Br1 Br 0.2500 0.2500 0.5000
# E in eV per atom: -1.68
# Relative energy among the computed polymorphs in meV/atom: 669

Record 3
# Cd2SeBr | Alexandria via LeMat-Bulk | PBE | optimized geometry
data_Cd2SeBr
_chemical_formula_sum 'Cd6 Se3 Br3'
_symmetry_space_group_name_H-M 'R 3 m'
_symmetry_Int_Tables_number 160
_symmetry_space_group_name_Hall 'R 3 -2"'
_cell_length_a 4.2845
_cell_length_b 4.2845
_cell_length_c 22.3799
_cell_angle_alpha 90.00
_cell_angle_beta 90.00
_cell_angle_gamma 120.00
loop_
_atom_site_label
_atom_site_type_symbol
_atom_site_fract_x
_atom_site_fract_y
_atom_site_fract_z
Cd1 Cd 0.0000 0.0000 0.0000
Cd2 Cd 0.0000 0.0000 0.2378
Se1 Se 0.0000 0.0000 0.5314
Br1 Br 0.0000 0.0000 0.7324
# E in eV per atom: -2.04
# Relative energy among the computed polymorphs in meV/atom: 149

Record 4
# Cd2SeBr | Alexandria via LeMat-Bulk | PBE | optimized geometry
data_Cd2SeBr
_chemical_formula_sum 'Cd4 Se2 Br2'
_symmetry_space_group_name_H-M 'C 1 m 1'
_symmetry_Int_Tables_number 8
_symmetry_space_group_name_Hall 'C -2y'
_cell_length_a 13.9363
_cell_length_b 3.8754
_cell_length_c 4.0527
_cell_angle_alpha 90.00
_cell_angle_beta 90.06
_cell_angle_gamma 90.00
loop_
_atom_site_label
_atom_site_type_symbol
_atom_site_fract_x
_atom_site_fract_y
_atom_site_fract_z
Cd1 Cd 0.0000 0.0000 0.0000
Cd2 Cd 0.1997 0.0000 0.4957
Se1 Se 0.1556 0.5000 0.9955
Br1 Br 0.4079 0.0000 0.4984
# E in eV per atom: -2.11
# Relative energy among the computed polymorphs in meV/atom: 78

Record 5
# Cd2SeBr | Alexandria via LeMat-Bulk | PBE | optimized geometry
data_Cd2SeBr
_chemical_formula_sum 'Cd2 Se1 Br1'
_symmetry_space_group_name_H-M 'P 4/m m m'
_symmetry_Int_Tables_number 123
_symmetry_space_group_name_Hall '-P 4 2'
_cell_length_a 3.6516
_cell_length_b 3.6516
_cell_length_c 7.3466
____________
## Back to the text
Mel, my acceptance of Christian Zionism as legitimate began several years ago at the Cornerstone Church in San Antonio. At their annual Night to Honor Israel, Pastor John Hagee created a pro-Israel and pro-Jewish ruach that I’ve yet to see at an AIPAC conference or an Israel Bonds dinner.
When Jews have difficulty with Christian Zionism it is due to one of two factors: first, an ambivalent about Zionism itself or, second, the impossibility of many Jews to take "yes" for an answer. They are, I think, more comfortable when Jews are distrusted and despised.
Columnist Leorard Fein of The Forward just wrote a piece rejecting the value of John Hagee and CZ’s, prompting me to write a harsh letter to the editor in response. I suspect my letter won’t be published due to the general orientation of the Forward.
Quite soon I will join with some friends at the University of Texas here in Austin in an effort to endow a Program in Israel Studies. My plan is to solicit the help of CZ’s here in Texas to the same extent as Texas Jewish supporters of Israel. If we go about it in the right way, I think we have a good chance of success.
Rick, thanks for your comment. I think your diagnosis of the problem of Jewish reluctance is right, although in fairness middle-aged and older Jews (like me) got a large and nasty dose of replacement theology and Christian anti-Semitism growing up. It’s a little hard for some people to make the switch. That’s why I like David Brog’s book so much; it delves deeply into the history of both anti-Jewish and pro-Jewish thought within Christianity. I think Christians are at a potential turning point in that history–the last Pope’s visit to Israel, Yad Vashem, and the Rome synagogue, in addition to the Protestant CZ’s–and we need to do everything we can to encourage it. Meanwhile, liberal Protestant churches are lining up against Israel and we need to let them know loudly and clearly what we think of that, liberal sympathies notwithstanding.
PS to Rick: If you get a chance to hobnob with Pastor Hagee or other leading Christian Zionists, please try to get them to backtrack and apologize for their anti-Catholic remarks, which are not good for anyone.